If you are looking for a glimmer of hope about the chances of achieving “a lasting peace” between Palestine and Israel anytime in the foreseeable future, you won’t find it in Padraig O’Malley’s newest book, "The Two-State Delusion: Israel and Palestine—A Tale of Two Narratives."
Misplaced data records =
┌──
Entry 1:
Density functional theory data (PBE-GGA) for a geometry-optimized Sb3TeClO6 structure.

Geometry as POSCAR:
```
Sb3TeClO6
1.0
7.2742 -2.2291 -2.9584
7.3435 -3.4179 1.0131
1.8489 -9.0736 -2.7483
O Sb Te Cl
6 3 1 1
direct
0.7085 0.7085 0.5096
0.3008 0.3008 0.4846
0.7736 0.7736 0.7253
0.2941 0.2941 0.9205
0.7068 0.7068 0.0766
0.2240 0.2240 0.2740
0.1575 0.1575 0.5146
0.1593 0.1593 0.1455
0.8412 0.8412 0.8569
0.8376 0.8376 0.4924
0.4967 0.4967 0.4999
```

Summary:
The value obtained for the spin magnetization is 0.0 Bohr magnetons per cell. Its space group is Cm. The calculation puts the calculated formation energy at -1.596 eV per atom.



Entry 2:
Density functional theory data (PBE-GGA) for a geometry-optimized Sn structure.

Geometry as POSCAR:
```
Sn
1.0
12.3652 0.0000 0.0000
0.0000 12.3652 0.0000
0.0000 0.0000 12.3652
Sn
46
direct
0.5000 0.6172 0.1924
0.1835 0.8165 0.8165
0.6172 0.8076 0.5000
0.5000 0.3828 0.8076
0.3165 0.6835 0.3165
0.0000 0.3076 0.1172
0.8828 0.0000 0.3076
0.5000 0.7500 0.0000
0.5000 0.3828 0.1924
0.6835 0.3165 0.3165
0.8828 0.0000 0.6924
0.1835 0.1835 0.8165
0.3828 0.8076 0.5000
0.1835 0.1835 0.1835
0.3165 0.3165 0.3165
0.8076 0.5000 0.3828
0.1172 0.0000 0.3076
0.0000 0.6924 0.1172
0.8165 0.8165 0.8165
0.0000 0.3076 0.8828
0.6172 0.1924 0.5000
0.6924 0.8828 0.0000
0.2500 0.0000 0.5000
0.8076 0.5000 0.6172
0.1924 0.5000 0.3828
0.3076 0.8828 0.0000
0.1924 0.5000 0.6172
0.0000 0.6924 0.8828
0.8165 0.1835 0.1835
0.1172 0.0000 0.6924
0.3828 0.1924 0.5000
0.1835 0.8165 0.1835
0.3076 0.1172 0.0000
0.5000 0.6172 0.8076
0.8165 0.1835 0.8165
0.6924 0.1172 0.0000
0.6835 0.6835 0.6835
0.0000 0.5000 0.7500
0.3165 0.3165 0.6835
0.6835 0.6835 0.3165
0.7500 0.0000 0.5000
0.0000 0.5000 0.2500
0.3165 0.6835 0.6835
0.6835 0.3165 0.6835
0.8165 0.8165 0.1835
0.5000 0.2500 0.0000
```

Summary:
The polymorph energy (0 for the lowest one) comes out at 0.03 eV per formula unit. Its space group is Pm-3n. The calculation puts the calculated formation energy at 0.030 eV per atom.



Entry 3:
Density functional theory data (PBE-GGA) for a geometry-optimized Rb4Nb11O30 structure.

Geometry as POSCAR:
```
Rb4Nb11O30
1.0
14.8800 -3.8073 0.0000
14.8800 3.8073 0.0000
13.9059 0.0000 6.5221
Nb O Rb
11 30 4
direct
0.8041 0.3040 0.8041
0.3040 0.8041 0.8041
0.1959 0.1959 0.6960
0.6960 0.1959 0.1959
0.1959 0.6960 0.1959
0.0000 0.5000 0.0000
0.5000 0.0000 0.0000
0.0000 0.0000 0.5000
0.1001 0.1001 0.1001
0.8999 0.8999 0.8999
0.8041 0.8041 0.3040
0.0017 0.0017 0.6286
0.1932 0.8218 0.1932
0.8679 0.5194 0.5194
0.1229 0.1229 0.6962
0.5194 0.8679 0.5194
0.8068 0.1782 0.8068
0.7016 0.0729 0.7016
0.9983 0.9983 0.3714
0.4806 0.1321 0.4806
0.3038 0.8771 0.8771
0.6286 0.0017 0.0017
0.0017 0.6286 0.0017
0.2984 0.2984 0.9271
0.8068 0.8068 0.1782
0.9983 0.3714 0.9983
0.5194 0.5194 0.8679
0.1229 0.6962 0.1229
0.0729 0.7016 0.7016
0.7016 0.7016 0.0729
0.2984 0.9271 0.2984
0.1782 0.8068 0.8068
0.9271 0.2984 0.2984
0.6962 0.1229 0.1229
0.4806 0.4806 0.1321
└──
Don’t be fooled by O’Malley’s impressive academic title, The John Joseph Moakley Professor of Peace and Reconciliation at UMass Boston’s McCormick institute. He’s an egghead, but one with both feet firmly planted in the real world, having lent a hand in brokering peace between Northern Ireland and England and toiling to birth democracy in South Africa.
O’Malley’s analysis is rooted in facts, not ideology. His conclusions are realistic; the pessimism is a byproduct of research and experience.
Writing in the New York Times Book Review, Peter Beinart observed that "The Two-State Delusion" “is a book so packed with information that it will reward even the reader so dedicated that she consumes the Israel-Palestine stories buried on Page A17 of The Times.”
O’Malley appeared recently at the Brookline Booksmith, speaking and answering questions before a packed crowd. The video clip — projecting what would happen if Israeli settlements were forcibly removed — is just a slice of his hour presentation. Watch O'Malley's entire discussion of "The Two-State Delusion," on
WGBH's Forum Network.
While trust is absent in today’s Middle East, things were not always as dire. The chronology of conflicts and potential resolutions for the region in "The Two-State Delusion" requires six pages to cover the last 130 years. The list takes the reader on a virtual roller coaster of expectation, as the actions of two disparate populations peak and trough between near peace, violence, and outright war.
O'Malley draws upon his experience and his extensive research to advise us to change course. It's too late, he says, to draw national boundaries between Palestinians and Israelis and expect them to live in mutual disinterest. The complete lack of trust, O'Malley explains, compels the majorities on both sides to believe they can never live together.
During his interviews about this conflict, O'Malley discovered that the concept of having separate states for Palestinians and Israelis has never been well explained to either of the two factions. Interest in that solution declined quickly, O’Malley said, when he would mention policy details, such as the removal of settlements, or sharing Jerusalem, or drawing actual borders.
"There is really not any consensus at all,” O'Malley said, about what kinds of states should emerge. In fact, more than a state, according to O’Malley, most Palestinians passionately desire to restore their dignity. “They want an end to being humiliated … they want to be treated as human beings ... at checkpoints, and in front of their children," he said.
Israelis also want to preserve their dignity, and can't bear the idea of being tricked, O'Malley says. They think it would be folly, for example, to remove settlements and give Palestinians more land. They believe that would be just the first concession, not the last. Besides, a new population nearly 100,000 strong, “the Settlers” have put roots down where Palestinian olive groves once stood, and it is equally unthinkable for them to lose their homes.
O'Malley mentioned a new development in an op-ed for
The Boston Globe